(Data)
+++
Diffraction record for Mg5Si9. The powder XRD pattern is simulated, not measured: it uses the GGA-PBE geometry in the Materials Project and Cu Kα (λ = 1.5418 Å).
Kinematic intensities with the Lorentz-polarization factor, no thermal factor.

Structure:
```
Mg5Si9
1.0
5.716 0.000 0.000
1.742 6.486 0.000
1.758 1.275 13.582
Mg Si
10 18
direct
0.000 0.000 0.000
0.008 0.901 0.588
0.246 0.267 0.104
0.333 0.451 0.280
0.348 0.514 0.496
0.448 0.128 0.658
0.489 0.594 0.719
0.794 0.665 0.133
0.867 0.790 0.821
0.887 0.402 0.521
0.063 0.491 0.680
0.095 0.896 0.219
0.151 0.257 0.832
0.221 0.594 0.945
0.327 0.667 0.098
0.329 0.116 0.437
0.372 0.897 0.846
0.434 0.987 0.275
0.538 0.959 0.992
0.540 0.822 0.542
0.570 0.307 0.898
0.650 0.656 0.347
0.734 0.160 0.171
0.759 0.124 0.427
0.831 0.215 0.736
0.880 0.420 0.972
0.892 0.338 0.283
0.979 0.770 0.391
```

Top 10 peaks for 2θ from 10° to 80°, in order of rising 2θ:
31.8°, rel. 40.3; 34.6°, rel. 38.0; 35.3°, rel. 62.1; 35.6°, rel. 91.5; 35.9°, rel. 35.9; 36.6°, rel. 100.0; 37.1°, rel. 55.7; 38.4°, rel. 44.5; 39.6°, rel. 48.1; 43.1°, rel. 42.8

=====

Diffraction record for Mg6NbV. The powder XRD pattern is simulated, not measured: it uses the GGA-PBE geometry in the Materials Project and Cu Kα (λ = 1.5418 Å).
Kinematic intensities with the Lorentz-polarization factor, no thermal factor.

Structure:
```
Mg6NbV
1.0
4.836 0.000 0.000
0.000 3.042 5.540
0.000 -3.042 5.540
Mg Nb V
6 1 1
direct
0.000 0.000 0.000
0.000 0.011 0.490
0.000 0.490 0.011
0.500 0.352 0.835
0.500 0.835 0.352
0.500 0.838 0.838
0.500 0.360 0.360
0.000 0.478 0.478
```

Top 10 peaks for 2θ from 10° to 80°, in order of rising 2θ:
16.0°, rel. 31.4; 16.6°, rel. 73.8; 33.6°, rel. 51.7; 33.9°, rel. 18.4; 37.2°, rel. 47.1; 37.4°, rel. 83.9; 38.6°, rel. 100.0; 51.0°, rel. 30.2; 67.9°, rel. 17.4; 73.7°, rel. 20.3

=====

Diffraction record for Ba3Te4O11. The powder XRD pattern is simulated, not measured: it uses the GGA-PBE geometry in the Materials Project and Cu Kα (λ = 1.5418 Å).
Kinematic intensities with the Lorentz-polarization factor, no thermal factor.

Structure:
```
Ba3Te4O11
1.0
8.151 0.000 0.000
-2.109 9.376 0.000
-3.742 -2.300 9.263
Ba Te O
6 8 22
direct
0.145 0.407 0.178
0.281 0.542 0.630
0.311 0.015 0.115
0.689 0.985 0.885
0.719 0.458 0.370
0.855 0.593 0.822
0.054 0.757 0.281
0.074 0.879 0.705
0.441 0.196 0.538
0.465 0.306 0.941
0.535 0.694 0.059
0.559 0.804 0.462
0.926 0.121 0.295
0.946 0.243 0.719
0.004 0.056 0.151
0.061 0.673 0.107
0.068 0.599 0.371
0.150 0.274 0.415
0.203 0.758 0.802
0.259 0.352 0.811
0.333 0.866 0.362
0.399 0.312 0.100
0.404 0.100 0.876
0.464 0.607 0.357
0.482 0.213 0.372
0.518 0.787 0.628
0.536 0.393 0.643
0.596 0.900 0.124
0.601 0.688 0.900
0.667 0.134 0.638
0.741 0.648 0.189
0.797 0.242 0.198
0.850 0.726 0.585
0.932 0.401 0.629
0.939 0.327 0.893
0.996 0.944 0.849
```

Top 10 peaks for 2θ from 10° to 80°, in order of rising 2θ:
26.3°, rel. 73.4; 26.6°, rel. 80.1; 26.7°, rel. 87.6; 26.9°, rel. 94.7; 27.4°, rel. 100.0; 28.7°, rel. 89.4; 39.4°, rel. 37.0; 39.8°, rel. 37.5; 46.6°, rel. 27.7; 48.2°, rel. 33.2

=====

Diffraction record for Nd2CuIr. The powder XRD pattern is simulated, not measured: it uses the GGA-PBE geometry in the Materials Project and Cu Kα (λ = 1.5418 Å).
Kinematic intensities with the Lorentz-polarization factor, no thermal factor.

Structure:
```
Nd2CuIr
1.0
0.000 3.556 3.556
3.556 0.000 3.556
3.556 3.556 0.000
Nd Cu Ir
2 1 1
direct
0.250 0.250 0.250
0.750 0.750 0.750
0.000 0.000 0.000
0.500 0.500 0.500
```

Top 9 peaks for 2θ from 10° to 80°, in order of rising 2θ:
21.6°, rel. 11.0; 35.7°, rel. 100.0; 42.1°, rel. 6.1; 51.4°, rel. 17.7; 56.4°, rel. 2.8; 64.2°, rel. 36.1; 68.6°, rel. 2.1; 75.6°, rel. 11.1; 79.8°, rel. 2.2

=====

What did the third record say?
Diffraction record for Ba3Te4O11. The powder XRD pattern is simulated, not measured: it uses the GGA-PBE geometry in the Materials Project and Cu Kα (λ = 1.5418 Å).
+++

(Activity)
The reader should give back the lines further up up to the one that holds "0.887 0.402", that line included.

(Written answer)
Diffraction record for Mg5Si9. The powder XRD pattern is simulated, not measured: it uses the GGA-PBE geometry in the Materials Project and Cu Kα (λ = 1.5418 Å).
Kinematic intensities with the Lorentz-polarization factor, no thermal factor.

Structure:
```
Mg5Si9
1.0
5.716 0.000 0.000
1.742 6.486 0.000
1.758 1.275 13.582
Mg Si
10 18
direct
0.000 0.000 0.000
0.008 0.901 0.588
0.246 0.267 0.104
0.333 0.451 0.280
0.348 0.514 0.496
0.448 0.128 0.658
0.489 0.594 0.719
0.794 0.665 0.133
0.867 0.790 0.821
0.887 0.402 0.521